Furthermore, as a serious pencil sketcher or drawer in that same milieu, Batman also figured prominently because the drawings of Bob Kane, the original illustrator, were easy to draw and duplicate, aided of course, by the fact that the face of the masked crusader was quite simple in line and design. A mask with protruding bat ears, squared jaws, and nothing much more.
### Attached: calculated molecules
Record 1
ORCA calculation (ωB97M-V with the def2-TZVPD basis set) on 2 unconnected molecules or ions with the total composition C4H13N3O.

Output
Highest occupied orbital energy (eV): -17.42
Energy above the lowest of the compared OMol25 structures with the same formula, charge and spin (kcal per mole): 1.4

The geometry in ORCA input format:
```
! RIJCOSX wB97M-V def2-TZVPD def2/J DEFGRID3
* xyz 2 1
C -0.36 2.12 -0.61
C 2.10 -1.02 0.29
C -0.29 -0.90 0.90
C 0.71 -1.56 0.22
N -1.16 1.62 -1.53
N -0.26 3.37 -0.29
N -1.62 -1.62 1.13
O 0.52 -2.57 -0.65
H 2.50 -0.50 -0.66
H 2.37 -0.32 1.03
H 0.24 1.31 -0.16
H -0.05 -0.14 1.62
H 2.80 -1.86 0.38
H -1.19 0.67 -1.93
H -1.60 2.23 -2.16
H 0.35 3.58 0.48
H -0.78 4.17 -0.67
H -1.74 -1.90 2.16
H -1.46 -2.54 0.83
H -2.49 -1.26 0.64
H 1.42 -2.89 -1.01
*
```

---

Record 2
ORCA calculation (ωB97M-V with the def2-TZVPD basis set) on 2 unconnected molecules or ions with the total composition C4H13N3O.

Output
Highest occupied orbital energy (eV): -18.60
Energy above the lowest of the compared OMol25 structures with the same formula, charge and spin (kcal per mole): 71.6

The geometry in ORCA input format:
```
! RIJCOSX wB97M-V def2-TZVPD def2/J DEFGRID3
* xyz 2 1
C -1.10 -1.71 0.74
C 0.34 1.41 -1.97
C 2.27 0.80 -0.37
C 0.12 1.02 0.61
N -2.27 -2.06 0.15
N -0.88 -2.38 1.85
N 0.97 1.54 -0.63
O -0.34 2.00 1.21
H 1.06 1.86 -2.68
H 0.25 0.35 -2.22
H -0.61 1.89 -2.08
H 2.10 0.46 0.60
H 2.30 -0.16 -0.97
H 3.17 1.41 -0.55
H -0.46 -1.08 0.39
H -2.38 -2.14 -0.80
H -3.19 -2.54 0.46
H -0.18 -1.93 2.43
H -1.50 -3.06 2.27
H 1.10 2.54 -0.45
H -0.76 1.77 2.03
*
```

---

Record 3
ORCA calculation (ωB97M-V with the def2-TZVPD basis set) on 3 unconnected molecules or ions with the total composition C4H13N3O2.

Output
Highest occupied orbital energy (eV): -7.70
Energy above the lowest of the compared OMol25 structures with the same formula, charge and spin (kcal per mole): 182.6

The geometry in ORCA input format:
```
! RIJCOSX wB97M-V def2-TZVPD def2/J DEFGRID3
* xyz 0 1
C 2.10 -0.99 0.48
N 0.72 -0.68 0.14
N -1.51 -1.74 1.03
O -0.49 -0.96 1.53
O 0.29 -1.67 -0.77
H -0.60 -1.90 -0.39
H -1.66 -2.50 1.70
H -2.34 -1.15 0.96
H 2.79 -0.55 -0.24
H 2.34 -0.59 1.47
H 2.29 -2.07 0.51
C -1.73 0.68 -1.66
C 0.81 2.08 0.66
C 0.21 1.18 -0.40
N -1.12 1.29 -0.50
H 0.77 1.18 -1.35
H -2.45 -0.09 -1.33
H -2.26 1.44 -2.24
H -1.06 0.15 -2.35
H 0.40 1.80 1.63
H 1.90 1.99 0.68
H 0.58 3.12 0.43
*
```

---

Record 4
ORCA calculation (ωB97M-V with the def2-TZVPD basis set) on 2 unconnected molecules or ions with the total composition C4H13N3O2.

Output
Highest occupied orbital energy (eV): -8.68
Energy above the lowest of the compared OMol25 structures with the same formula, charge and spin (kcal per mole): 77.0
Structure (SMILES): NN(CO)CO.C=NC

The geometry in ORCA input format:
```
! RIJCOSX wB97M-V def2-TZVPD def2/J DEFGRID3
* xyz 0 1
C 1.24 1.31 0.30
C -0.57 -0.70 1.67
C -0.86 -0.57 -0.81
C 0.40 2.61 -1.46
N 0.12 -0.69 0.39
N 0.36 2.15 -0.10
### The calculated molecules stop here
The original storyteller was one named Bill Finger and he started his series in 1939 without much fanfare. It was only later on that the "origin" of Batman was detailed in a rather short episode. He was witness to the robbery and murder of his parents, on a night out to the movies. Young Bruce vows to fight crime in memory of the sad plight of his parents. That's all. I remember that the comic book that had this episode devoted only maybe a dozen panels about the incident.
And back then, any signs of the "darkness" now popularly associated with Batman were limited to the facts that he took on the persona of a bat, which we all know is a nocturnal animal; that he was always summoned using a bat signal that lit the inky night sky. Or that the Wayne manor was depicted as a dimly-lit place which housed the equally dimly-lit bat cave, where most things associated with Batman were kept. But not much references to the darkness of his character, melancholic moods, or other dark human qualities.
_Records of molecules, as found in the file_
____________
(1)
ORCA calculation (ωB97M-V/def2-TZVPD) on C49H48NO6P2Pd as an isolated structure at a distorted geometry.

gap between HOMO and LUMO	5.86	eV
energy relative to the best compared isomer or geometry (same formula, charge and spin)	0.0	kcal/mol
E_LUMO	-0.1652	Ha
DFT total energy	-87419.249	eV
2S+1	1
HOMO energy	-0.380	hartree
net charge	+1

Element x y z (Å)
C -0.25081 -1.06375 5.44953
C 1.09481 -1.28540 5.16550
C 1.77790 -0.43747 4.28595
C 1.05869 0.57858 3.67721
O 1.66907 1.30122 2.61699
P 2.01322 0.65365 1.17033
O 2.92372 1.82268 0.51406
C 3.24586 3.08620 1.03472
C 4.60316 3.38401 1.14721
C 4.96496 4.61136 1.70569
C 3.97470 5.50538 2.11526
C 2.61829 5.19365 1.95093
C 2.23703 3.96949 1.39811
O 3.11280 -0.48582 1.53667
C 4.37034 -0.69156 0.97738
C 5.34944 -1.14074 1.86252
C 6.65830 -1.26743 1.39955
C 6.95701 -0.98533 0.06548
C 5.95245 -0.59147 -0.81591
C 4.63248 -0.44171 -0.36568
Pd 0.30553 -0.33802 0.13695
P -1.81901 0.31123 0.55619
O -2.33108 -0.43248 1.91928
C -3.57409 -0.38238 2.56520
C -4.13897 -1.59748 2.94427
C -5.45482 -1.58866 3.40722
C -6.13785 -0.38174 3.56243
C -5.50814 0.82962 3.27695
C -4.19079 0.83411 2.81118
O -2.16130 1.89148 0.77597
C -2.94202 2.69031 -0.08822
C -3.95488 3.44201 0.50270
C -4.94082 3.97509 -0.32997
C -4.84306 3.82203 -1.71227
C -3.74641 3.16549 -2.27760
C -2.76432 2.60144 -1.45901
O -2.97770 -0.10938 -0.51098
C -3.85227 -1.19928 -0.45506
C -5.21054 -0.92135 -0.60099
C -6.11857 -1.96814 -0.42224
C -5.65820 -3.25132 -0.13717
C -4.28772 -3.51116 -0.06602
C -3.36181 -2.47868 -0.24435
C 0.46853 -1.85220 -1.29397
C 1.32530 -2.92856 -0.64323
C 0.82769 -3.66620 0.45071
C 1.64693 -4.54201 1.17847
C 2.98374 -4.72653 0.80472
C 3.47311 -4.04582 -0.31871
C 2.63441 -3.20732 -1.06574
C 1.00593 -0.86604 -2.23445
C 0.22346 -0.06564 -3.08878
C -0.26436 0.87081 3.99527
C -0.92625 0.02262 4.88066
H -0.78661 -1.73025 6.12994
H 1.63144 -2.10642 5.63371
H 2.84072 -0.56716 4.08154
H 5.33228 2.64198 0.81029
H 6.01908 4.84456 1.81781
H 4.25971 6.46299 2.55974
H 1.84544 5.90189 2.26118
H 1.19377 3.71191 1.24480
H 5.05864 -1.35278 2.89393
H 7.43167 -1.58562 2.09628
H 7.98092 -1.08109 -0.28983
H 6.17496 -0.38595 -1.86466
H 3.82954 -0.15037 -1.04944
H -3.55709 -2.51136 2.83919
H -5.93726 -2.53860 3.65175
H -7.16247 -0.38055 3.92849
H -6.01102 1.78668 3.41759
H -3.63880 1.75943 2.63483
H -3.98185 3.54291 1.58676
H -5.77696 4.50157 0.12873
H -5.62199 4.22995 -2.35458
H -3.65227 3.07621 -3.36135
H -1.89194 2.09792 -1.88026
H -5.52683 0.10096 -0.82799
H -7.18621 -1.76530 -0.50086
H -6.36921 -4.06265 0.02125
H -3.91926 -4.51979 0.14240
H -2.28471 -2.64862 -0.20772
H -0.55025 -2.21317 -1.46985
H -0.20410 -3.50336 0.77472
H 1.24927 -5.07770 2.04747
H 3.63489 -5.39701 1.37647
H 4.52431 -4.17334 -0.60943
H 3.02723 -2.72402 -1.96013
H 2.10109 -0.91715 -2.31288
H -0.85528 -0.19028 -2.96705
H 0.54085 0.96326 -3.27797
H -0.74935 1.73042 3.54062
H -1.97028 0.22863 5.13088
C 0.56757 0.52776 -7.37275
C 1.16847 -0.85956 -7.08285
C 1.76000 -0.79306 -5.67458
____________
I've personally kept a copy of Frank Miller's The Dark Knight Returns (1986) not because I like it but because it is a constant reminder for me how starkly different the Batman is now portrayed as compared to the Batman of my youth. And I do not mean just on the artwork. The simpler and easy to unravel masked Crusader with no dark sinister secrets bottled up or constantly conflicting him.
And thus, I often wonder how this metamorphosis came about. I doubt if the original creator, Bill Finger, had these now-accepted trivia stored up somewhere in the back of his mind waiting to be revealed and released at some future date. And this doubt extends to the original illustrator, Bob Kane, who probably was limited to the artwork.
Who started this gradual conversion of Batman into some kind of complex and inscrutable individual, confusing one whether he really stands for good or for something evil?
But definitely the movies and comic books about him now regularly portray him in this somber light. This most current movie, Batman Begins, which I have not yet seen, is touted by its makers and actors to become the definitive movie on Batman. The one that will come to mind first when movies about Batman are discussed.
### Data records from another source follow
<<<
The following is a quantum chemistry calculation of a molecular structure, C2H2F2OS in a non-equilibrium geometry, from OMol25.

XYZ file:
```
8
C2H2F2OS the ωB97M-V functional and the def2-TZVPD basis
C -0.309 0.256 -0.610
C 0.927 0.408 0.231
O -2.692 -1.553 0.040
F 1.102 1.653 0.705
F 2.058 0.220 -0.582
S -1.401 -1.440 0.615
H -0.654 0.899 -1.400
H 0.968 -0.443 1.000
```

- electronic energy (a.u.) = -750.392878
- LUMO energy (alpha / beta) (eV) = -1.502 / -0.880
- Kohn-Sham gap (alpha / beta) (eV) = 8.4 / 8.9
- energy relative to the best compared isomer or geometry (same formula, charge and spin) (kcal/mol) = 102.2

* * * * *

1.
87
Properties=species:S:1:pos:R:3:forces:R:3 method="wB97M-V/def2-TZVPD" molar_mass_da=884.68 e_above_lowest_ev=0.447 e_homo_ev=-7.925
Sc -2.09849 0.76032 -0.21375 -0.259 -0.102 -0.184
N -4.20705 -0.12391 -0.59777 -0.007 -0.027 0.025
C -5.20429 0.06906 0.45963 -0.023 -0.046 0.041
C -4.51807 -0.17365 1.79649 -0.034 0.006 0.031
N -3.27116 0.59541 1.91248 0.067 -0.030 -0.161
C -3.43399 1.91930 2.54147 -0.041 -0.002 -0.028
C -3.97815 2.94111 1.55865 -0.019 0.031 0.011
N -3.20018 2.84094 0.31902 0.011 -0.107 -0.021
H -3.96103 -1.10672 -0.70632 -0.012 0.003 -0.037
H -4.52990 0.15575 -1.51848 -0.078 0.010 0.037
H -5.57846 1.08751 0.38660 -0.006 0.004 0.007
H -6.06445 -0.59760 0.35534 0.024 -0.026 -0.002
H -5.20629 0.05315 2.61793 0.009 0.000 0.002
H -4.26602 -1.23432 1.87676 0.020 -0.005 -0.034
H -2.62712 0.08802 2.52893 -0.027 0.013 0.046
H -4.07217 1.85643 3.42911 -0.014 -0.004 -0.012
H -2.44431 2.22663 2.87687 -0.023 0.001 0.004
H -5.02784 2.75652 1.33366 -0.002 -0.005 -0.004
H -3.92924 3.93722 2.00586 0.024 -0.002 -0.004
H -3.66563 3.24548 -0.48619 -0.015 0.046 0.033
H -2.32193 3.34619 0.40392 -0.022 0.031 0.009
C -1.72298 -4.03992 -4.04369 0.004 -0.007 -0.011
Si -0.05349 -3.46616 -3.42519 0.006 0.020 0.025
C 1.14341 -4.90812 -3.36679 -0.010 0.003 -0.032
C 0.67127 -2.18062 -4.57616 -0.003 0.007 0.017
C -0.24304 -2.84076 -1.64987 -0.040 -0.026 0.009
C 0.38835 -3.48036 -0.59585 0.003 0.019 -0.001
C 0.24656 -3.04512 0.72319 -0.026 -0.038 -0.032
C -0.52787 -1.93838 0.95380 -0.017 0.014 -0.049
N -1.15361 -1.28748 -0.04278 -0.137 -0.011 0.119
C -1.04200 -1.72582 -1.31625 -0.016 -0.024 -0.015
S -1.92967 -0.77682 -2.47594 0.080 0.048 0.123
H -1.64846 -4.46346 -5.04765 0.021 -0.006 -0.006
H -2.42213 -3.20352 -4.07595 0.000 -0.020 -0.002
H -2.13582 -4.80622 -3.38391 -0.003 -0.009 -0.002
H 1.33529 -5.25371 -4.38533 0.001 -0.015 0.002
H 0.75838 -5.75758 -2.79936 -0.004 0.005 0.022
H 2.10357 -4.61114 -2.93785 -0.001 -0.005 -0.005
H 0.85716 -2.64636 -5.54775 -0.034 0.018 -0.020
H 1.63196 -1.80847 -4.21737 0.023 -0.038 0.008
H 0.00163 -1.33275 -4.71797 -0.007 0.001 0.004
H 1.02412 -4.33523 -0.79343 -0.004 -0.019 -0.009
H 0.75051 -3.53886 1.54168 -0.041 0.019 -0.055
H -0.66443 -1.53300 1.95110 -0.047 -0.060 -0.062
Se -1.11380 -0.00499 4.38725 0.066 -0.044 0.140
P 0.48209 0.76098 3.19067 0.023 0.052 -0.057
>>>
### The data records stop here
Is it really? Or is it maybe, the definitive movie of the "new" Batman, sculpted to this dark image by some imaginative writers and equally creative screenplay-writers.
You know we are now a very complicated, conflicted, and at times sinister, society, so this simply may be a reflection of the current milieu. And a thirst-quenching product of our avid hunger for things front and center in our lives. Hollywood is arguably very adept at this.
A very far departure from the simpler and uncomplicated times of yesteryears.